Material
+++
12 unconnected molecules or ions with the total composition C72H180N12O24 at a distorted geometry, computed with ωB97M-V/def2-TZVPD.

The geometry in XYZ format:
```
288
Properties=species:S:1:pos:R:3:forces:R:3
C -12.803 -20.409 11.651 -1.15 0.12 0.33
O -13.778 -19.750 10.833 -0.02 0.47 -0.28
C -14.744 -18.961 11.571 0.37 -0.12 -0.70
C -15.747 -18.157 10.673 -0.24 0.24 0.36
N -16.527 -17.133 11.416 -0.75 -1.24 -0.55
C -17.391 -16.362 10.482 0.12 0.51 0.23
C -18.504 -17.051 9.611 0.78 0.31 -0.40
O -17.938 -17.732 8.477 0.53 -0.07 0.57
C -18.832 -18.098 7.451 -0.08 -0.32 0.40
H -12.084 -20.939 11.026 -0.32 0.07 -0.11
H -13.335 -21.081 12.324 0.01 -0.60 -0.11
H -12.258 -19.784 12.358 0.12 0.77 -0.31
H -14.138 -18.277 12.165 -0.26 0.37 0.35
H -15.283 -19.647 12.224 -0.22 0.15 0.23
H -16.539 -18.761 10.231 0.44 -0.59 0.00
H -15.289 -17.643 9.828 0.74 -0.28 -0.17
H -15.942 -16.560 12.007 -0.08 0.36 -0.28
H -16.780 -15.747 9.821 0.37 -0.31 -0.85
H -17.840 -15.535 11.030 -0.60 -0.42 0.38
H -19.133 -16.288 9.154 -0.03 0.56 0.54
H -19.183 -17.694 10.171 0.22 -0.35 0.26
H -18.276 -18.767 6.794 -0.02 0.15 -0.19
H -19.247 -17.257 6.895 0.23 0.39 -0.10
H -19.698 -18.642 7.828 -0.13 -0.24 0.27
C -17.892 -16.789 -9.634 -0.99 0.20 -0.57
O -17.478 -17.950 -8.962 1.76 1.34 0.92
C -16.314 -17.597 -8.136 0.48 -1.43 -0.13
C -16.590 -16.922 -6.802 -1.48 -1.85 -0.44
N -17.415 -17.861 -5.963 2.29 0.86 -1.26
C -17.924 -17.233 -4.807 -2.15 -0.86 1.39
C -18.314 -18.268 -3.701 0.12 0.97 -0.54
O -19.572 -18.907 -3.937 1.14 1.53 -1.38
C -19.861 -19.886 -3.008 -0.29 -0.31 -0.40
H -18.348 -16.060 -8.964 -0.08 0.08 0.16
H -18.637 -17.074 -10.377 -0.13 -0.10 0.11
H -17.115 -16.265 -10.190 0.48 -0.19 0.09
H -15.544 -17.021 -8.650 -0.44 0.44 -0.67
H -15.804 -18.552 -8.007 -0.21 -0.19 0.45
H -17.070 -15.977 -7.059 -0.37 0.35 0.45
H -15.657 -16.704 -6.283 0.07 -0.05 -0.05
H -18.056 -18.418 -6.510 -0.21 0.36 0.03
H -18.842 -16.679 -5.007 -0.32 0.33 -0.03
H -17.259 -16.469 -4.403 0.33 -0.32 -0.01
H -18.398 -17.720 -2.763 0.07 0.06 0.39
H -17.482 -18.969 -3.639 -0.04 -0.46 0.11
H -19.247 -20.759 -3.226 0.16 -0.33 0.48
H -20.904 -20.136 -3.205 -0.01 -0.14 0.49
H -19.694 -19.484 -2.009 -0.14 -0.33 0.40
C -18.919 -14.348 5.029 -0.94 0.00 0.86
O -18.449 -13.559 6.132 0.32 0.34 0.50
C -19.029 -13.897 7.422 0.84 -1.28 -0.38
C -18.600 -12.945 8.587 -0.92 0.10 -2.21
N -19.084 -13.355 9.905 1.23 0.24 0.16
C -18.665 -12.331 10.889 -1.04 -0.22 0.73
C -17.238 -12.404 11.393 0.18 0.27 -2.25
O -16.403 -11.851 10.342 0.69 0.13 0.82
C -15.033 -12.138 10.624 -0.25 -0.49 0.52
H -19.864 -13.923 4.690 -0.10 -0.08 -0.19
H -19.125 -15.379 5.316 -0.05 -0.14 0.29
H -18.245 -14.445 4.177 0.45 0.73 0.40
H -18.692 -14.910 7.641 0.49 -0.21 0.27
H -20.097 -14.086 7.318 -0.48 0.84 0.08
H -19.019 -11.981 8.300 -0.22 0.52 0.10
H -17.529 -12.750 8.532 0.00 -0.62 0.41
H -20.094 -13.351 9.903 -0.12 -0.10 -0.13
H -19.278 -12.417 11.786 -0.25 -0.47 0.07
H -18.972 -11.354 10.514 0.65 0.52 -0.13
H -16.966 -13.455 11.493 0.00 -0.17 0.39
H -17.086 -11.856 12.322 -0.04 0.03 0.08
H -14.881 -13.204 10.459 0.32 -0.18 -0.15
H -14.804 -11.964 11.675 -0.10 0.15 0.30
H -14.284 -11.565 10.076 -0.62 0.17 -0.53
C -17.274 -14.659 -0.225 -1.67 0.78 0.32
O -17.151 -13.789 -1.331 0.34 0.08 0.03
C -16.304 -14.307 -2.313 0.98 0.33 -1.72
C -16.452 -13.552 -3.666 -1.31 -0.16 0.09
N -17.748 -13.846 -4.282 -0.22 -0.14 0.13
C -17.889 -13.257 -5.611 -0.27 -0.14 0.83
C -19.225 -13.702 -6.210 0.84 -1.44 1.63
O -19.306 -13.278 -7.469 -1.16 1.25 -4.37
C -20.379 -13.924 -8.220 0.72 0.76 0.91
H -16.383 -14.837 0.377 0.15 -0.09 -0.55
H -17.832 -15.550 -0.511 0.60 -0.60 -0.21
H -18.008 -14.163 0.410 0.19 0.23 0.36
H -16.499 -15.370 -2.459 -0.27 -0.18 -0.20
H -15.246 -14.244 -2.059 0.19 0.12 0.55
H -15.742 -13.793 -4.457 0.63 -0.43 0.57
H -16.405 -12.470 -3.547 0.50 0.28 0.52
H -18.446 -13.432 -3.682 -0.30 -0.11 0.13
H -17.043 -13.599 -6.208 -0.19 -0.27 -0.34
H -17.777 -12.173 -5.575 -0.27 0.41 -0.14
+++

What to do
Please filter the notes above: keep the lines with the word "the".

Worked solution
12 unconnected molecules or ions with the total composition C72H180N12O24 at a distorted geometry, computed with ωB97M-V/def2-TZVPD.